in reply to compute the occurrence of words


You *can* do it with arrays, but the problem fits a hash much better. Let's take a look at a straightforward array implementation:

WORD: while (my $word = pop @words) { # lower-case it $word = lc $word; # search for the entry for my $index (0 .. $#words) { if ($counta[$index][0] eq $word) { # when found, update the count and # go to the next word $counta[$index][1]++; next WORD; } } # If there's no entry, add a new entry push @counta, [ $word, 1 ]; }

Attached: crystal structures:
'''
# 1
Density functional theory data (PBE) for a relaxed structure of Na6CaZrSi6O18.

Summary:
The size of the total moment is 0.01 μB per cell. Its energy with MP2020 corrections is -0.54426 Ry/atom. As for the density: 2.9 Mg/m³. The calculation puts the formation enthalpy at 0 K at -3.027 eV/atom. The raw total energy comes out at -1347.56 eV/cell.

a = 10.4628 Å, b = 10.4628 Å, c = 26.6072 Å
α = 90.00°, β = 90.00°, γ = 120.00°
Space group R3c (No. 161, hexagonal axes)
One atom of each set of equivalent atoms:
Na (0.0636, 0.5265, 0.0000) x18
Na (0.1761, 0.3592, 0.5750) x18
Ca (0.0000, 0.0000, 0.1141) x6
Zr (0.0000, 0.0000, 0.4867) x6
Si (0.0295, 0.5143, 0.3728) x18
Si (0.1814, 0.3669, 0.4409) x18
O (0.9996, 0.2497, 0.2400) x18
O (0.0720, 0.4048, 0.4058) x18
O (0.0897, 0.1863, 0.9412) x18
O (0.1078, 0.5499, 0.3187) x18
O (0.1816, 0.0857, 0.5399) x18
O (0.2161, 0.4422, 0.4946) x18

# 2
Density functional theory data (PBE) for a relaxed structure of BaMgBi2O5.

Summary:
The size of the total moment is 0.00 μB per cell. Its energy with MP2020 corrections is -0.41483 Ry/atom. As for the density: 6.3 Mg/m³. The calculation puts the formation enthalpy at 0 K at -1.640 eV/atom. Its distance to the lowest polymorph of the same formula is 0.000 kcal/mol of atoms. The raw total energy comes out at -47.36 eV/cell.

a = 4.3029 Å, b = 4.3029 Å, c = 9.4501 Å
α = 90.00°, β = 90.00°, γ = 90.00°
Space group P4/mmm (No. 123)
One atom of each set of equivalent atoms:
Ba (0.0000, 0.0000, 0.0000) x1
Mg (0.0000, 0.0000, 0.5000) x1
Bi (0.5000, 0.5000, 0.2590) x2
O (0.0000, 0.5000, 0.1893) x4
O (0.5000, 0.5000, 0.5000) x1

# 3
Density functional theory data (PBE) for a relaxed structure of Cd3Se4.

Summary:
The size of the total moment is 0.00 μB per cell. Its energy with MP2020 corrections is -0.21022 Ry/atom. As for the density: 4.0 Mg/m³. The calculation puts the formation enthalpy at 0 K at -0.467 eV/atom. Its distance to the lowest polymorph of the same formula is 2.743 kcal/mol of atoms. The raw total energy comes out at -145.06 eV/cell.

a = 23.3460 Å, b = 9.8436 Å, c = 10.7226 Å
α = 90.00°, β = 117.28°, γ = 90.00°
Space group Cm (No. 8)
One atom of each set of equivalent atoms:
Cd (0.0000, 0.1805, 0.0000) x4
Cd (0.1399, 0.2068, 0.9493) x4
Cd (0.1628, 0.1901, 0.5067) x4
Cd (0.3004, 0.3154, 0.9236) x4
Cd (0.3420, 0.2114, 0.5507) x4
Cd (0.4743, 0.1913, 0.4886) x4
Se (0.0404, 0.3629, 0.8844) x4
Se (0.0463, 0.0000, 0.8773) x2
Se (0.0922, 0.0000, 0.3475) x2
Se (0.0942, 0.3753, 0.5811) x4
Se (0.2196, 0.5000, 0.9104) x2
Se (0.2575, 0.1248, 0.0683) x4
Se (0.2824, 0.1769, 0.6956) x4
Se (0.3811, 0.0000, 0.4383) x2
Se (0.3817, 0.3649, 0.4128) x4
Se (0.4262, 0.3764, 0.1152) x4

# 4
Density functional theory data (PBE) for a relaxed structure of NaLaInSbO6.

Summary:
Its energy with MP2020 corrections is -0.48708 Ry/atom. As for the density: 6.0 Mg/m³. The calculation puts the formation enthalpy at 0 K at -2.344 eV/atom. The raw total energy comes out at -248.60 eV/cell.
'''

As you can see, we go through the list of words. For each word, we convert it to lower case, then search for the entry containing the word. If we find the entry, we increment it, otherwise we create a new entry.

So why does the problem fit a hash much better?

The equivalent hash version looks like this:

WORD: while (my $word = pop @words) { # lower-case it $word = lc $word; # search for the entry. When found, update the # count, if not found create new entry. $counth{$word}++; }

The speed advantages of the hash version are significant. Here's a comparison of an array version, hash version and a greparray version. (I was wondering if grep might be a faster way to search the array than a linear search.)

$ perl ***** Comparing a list of 100 words 10000 times ***** Rate greparray array hash greparray 997/s -- -55% -94% array 2210/s 122% -- -86% hash 16026/s 1507% 625% -- ***** Comparing a list of 1000 words 1000 times ***** Rate greparray array hash greparray 8.80/s -- -79% -100% array 41.5/s 372% -- -98% hash 2070/s 23419% 4887% --

[The entry is interrupted by records of crystals]
No. 1
VASP calculation (meta-GGA r2SCAN) on YbNi2Sn after structural relaxation.

a b c (Å): 6.3509 6.3509 6.3509
angles (deg): 90.00 90.00 90.00
Sites, in units of the cell vectors:
Yb 0.0000 0.0000 0.0000
Yb 0.0000 0.5000 0.5000
Yb 0.5000 0.0000 0.5000
Yb 0.5000 0.5000 0.0000
Ni 0.2500 0.2500 0.2500
Ni 0.2500 0.2500 0.7500
Ni 0.2500 0.7500 0.2500
Ni 0.2500 0.7500 0.7500
Ni 0.7500 0.2500 0.2500
Ni 0.7500 0.2500 0.7500
Ni 0.7500 0.7500 0.2500
Ni 0.7500 0.7500 0.7500
Sn 0.0000 0.0000 0.5000
Sn 0.0000 0.5000 0.0000
Sn 0.5000 0.0000 0.0000
Sn 0.5000 0.5000 0.5000

## Properties
The value obtained for the density is 10.6 Mg/m³. The crystal system is cubic. Its space group is Fm-3m, No. 225. Its formation energy is -2.0 eV/f.u. The calculation puts the calculated volume at 256.2 Å³ per cell.


No. 2
VASP calculation (meta-GGA r2SCAN) on LiYbCu2P2 after structural relaxation.

a b c (Å): 3.9327 3.9327 6.5004

As you can see, as the number of words increases, so does the speed advantage of the hash version. (The code for the test is in the readmore tag....)

#!/usr/bin/perl use strict; use warnings; use Benchmark qw(:all); use Data::Dumper; # Dump counts? 1=yes, 0=no my $showall = 1; my $letters = join("", "A" .. "Z", "a" .. "z"); my @words; my %counth; my @counta; my @countg; sub do_hash { %counth = (); for my $word (@words) { $word = lc $word; $counth{$word}++; } } sub do_array { @counta = (); WORD: for my $word (@words) { $word = lc $word; for my $index (0 .. $#counta) { if ($counta[$index][0] eq $word) { $counta[$index][1]++; next WORD; } } push @counta, [ $word, 1 ]; } } sub do_greparray { @countg = (); WORD: for my $word (@words) { $word = lc $word; my @entries = grep { $word eq $$_[1] } @countg; if (@entries) { $entries[0][1]++; } else { push @countg, [ $word, 1 ]; } } } sub make_word { # Half the time, reuse a word if (@words and 0.5 > rand) { return $words[int rand @words]; } my $len = int( rand 3 * rand 3 )+1; my $word; $word .= substr($letters, int(rand length $letters), 1) for 1 .. $ +len; return $word; } for my $num_words (100, 1000, 10000, 100000, 1000000) { push @words, make_word() for 1 .. $num_words; my $num_iterations = 1000000 / $num_words; print "\n***** Comparing a list of $num_words words " . "$num_iterations times *****\n\n"; cmpthese($num_iterations, { 'hash'=>\&do_hash, 'array'=>\&do_array, 'greparray'=>\&do_greparray, }); } =h1 # For debugging, enable this chunk (by removing the =h1 and =cut lines +). # It'll show any differences between the final run of the three method +s. for my $ar (@counta) { my ($word, $cnta) = @$ar; my $cnth = $counth{$word}; my @ag = grep { $word eq $$_[0] } @countg; my $cntg = $ag[0][1] // -1; next if $showall or $cnta != $cnth or $cnta != $cntg; printf "%-10.10s % 6u % 6u % 6u\n", $word, $cnth, $cnta, $cntg; } =cut


When your only tool is a hammer, all problems look like your thumb.